Oet RT3
Oet RT3
Oet RT3
Complete the following summary using the information in the four texts
You do not need to read each text from beginning to end to complete the
task. You should
You should write your answers next to the appropriate number in the right-
hand column.
Text 1
Those who are at risk include: Babies (usually premature) who have had
surgery for NEC and Patients who have had surgery for volvulus (twisting of
the intestines), Patients born with narrowing or obstruction of their intestine,
Patients with intestinal pseudo-obstruction or abnormal motility of the
bowel, Patients after having parts of the intestine removed for other reasons
(e.g. tumors, abnormal blood supply, strictures, etc.), Patients with damage
to their intestines from radiation therapy and Patients born with abnormally
short small intestine.
Text 2
• Bloating
• Heartburn
• Fatigue
• Weakness
• Bacterial infections
• Food sensitivities
Text 3
Kidney stones: Decreased absorption of fats, calcium, and bile salts in the
bowel can cause kidney stones, which are known to decrease urine flow from
the kidneys to the bladder, impair kidney function, and cause pain.
Text 4
One of the major complications that take part in SBS is listed down:
Vitamin and mineral deficiencies: Short bowel syndrome can affect the
amount of vitamins that the body absorbs, sometimes with serious
consequences. For instance, a lack of vitamin B12 can result in damage to
the brain and nerves in the spinal cord, while a deficiency in vitamin E can
cause swelling and poor muscle coordination. Too little vitamin C can lead to
problems with the gums and skin. Reduced absorption of vitamin D and
calcium can cause osteoporosis and lead to fractures. In addition, the
diarrhea commonly associated with short bowel syndrome can result in low
mineral levels such as zinc and magnesium, sometimes leading to skin
rashes, muscle cramping, and irregular heart rhythms.
9………or weight loss, 10……., Poor appetite, increased gas, foul smelling
stools, 11………., pallor, 12………. etc. There are complications too which are
closely associated with 13………. which can well be summarized as: Failure to
thrive, the child does not gain 14……..according to the growth curve, 15……..,
Vitamin 16………. as a result of poor absorption in the 17…………, 18……. from
excess stomach acid, 19…….overgrowth in areas of dilated intestine, Kidney
# These calculated crystals were left in the entry by mistake
=====
Ca2Pr6Ho: optimized geometry, GGA-PBE.

```
Ca2Pr6Ho
1.0
7.046 0.000 0.000
3.044 9.125 0.000
2.991 3.706 10.251
Ca Pr Ho
4 12 2
direct
0.113 0.138 0.019
0.222 0.528 0.205
0.778 0.472 0.795
0.887 0.862 0.981
0.108 0.138 0.358
0.116 0.136 0.678
0.229 0.535 0.865
0.231 0.523 0.538
0.453 0.800 0.247
0.456 0.807 0.900
0.544 0.193 0.100
0.547 0.200 0.753
0.769 0.477 0.462
0.771 0.465 0.135
0.884 0.864 0.322
0.892 0.862 0.642
0.440 0.809 0.570
0.560 0.191 0.430
```

Summary:
- Energy: -73.5 eV for the cell shown
- Energy of formation from the pure elements: 0.058 eV/atom
=====
# Back to the entry
20……. or 21….. due to poor absorption of calcium or bile etc.
Reading Test
Reading Passage 1
Classification of Seizures
Paragraph 1
automatisms. Those who do not simply stop stare and blank out for a few
seconds to minutes
Paragraph 2
Paragraph 3
Seizures that begin focally can spread to the entire brain, in which case a
tonic-clonic seizure ensues. It is important, however, to distinguish those
that are true grand mal, generalized from the start, from those that start
focally and secondarily generalize. Secondarily generalized seizures arise
from a part of the brain that is focally abnormal.
Paragraph 4
Seizure surgery is discussed below.
Atonic Seizures
Atonic seizures are epileptic drop attacks. Atonic seizures typically occur in
children or adults with widespread brain injuries. People with Atonic seizures
suddenly become limp and may fall to the ground. Football helmets are
sometimes required to protect against serious injuries.
Myoclonic Seizures
Tonic Seizures
Patients can have more than one seizure type. One seizure type may
progress into another as the electrical activity spreads throughout the brain.
A typical progression is from a simple partial seizure, to a complex partial
seizure (when the patient becomes confused), to a secondarily generalized
tonic-clonic seizure (when the electrical activity has spread throughout the
entire brain). The brain has control mechanisms to keep seizures localized.
Anti- epileptic medications enhance the ability of the brain to limit spread of
a seizure.
B Partial seizures
C Complex seizures
A simple partial
B Complex seizures
A fumbling
B lip smacking
C speaking leisurely
D none
Data records that have nothing to do with the page
____________
Material: LaAl20Cr2
Method: DFT, PBEsol
State: relaxed

Calculated volume = 16.2 A^3/atom
E = -4.836 eV/atom
ρ = 3.5 Mg/m³
D(E_F) = 23.08 states/eV per cell
Formation energy = -3.581 kcal/mol of atoms

Cell: 10.179 10.179 10.179 Å, 60.00 60.00 60.00°
Element x y z (fractional)
La 0.125 0.125 0.125
La 0.875 0.875 0.875
Al 0.000 0.000 0.000
Al 0.000 0.000 0.500
Al 0.000 0.500 0.000
Al 0.057 0.327 0.327
Al 0.057 0.327 0.788
Al 0.057 0.788 0.327
Al 0.212 0.673 0.673
Al 0.212 0.673 0.943
Al 0.212 0.943 0.673
Al 0.239 0.239 0.511
Al 0.239 0.511 0.239
Al 0.239 0.511 0.511
Al 0.327 0.057 0.327
Al 0.327 0.057 0.788
Al 0.327 0.327 0.057
Al 0.327 0.327 0.788
Al 0.327 0.788 0.057
Al 0.327 0.788 0.327
Al 0.489 0.489 0.761
Al 0.489 0.761 0.489
Al 0.489 0.761 0.761
Al 0.500 0.000 0.000
Al 0.511 0.239 0.239
Al 0.511 0.239 0.511
Al 0.511 0.511 0.239
Al 0.673 0.212 0.673
Al 0.673 0.212 0.943
Al 0.673 0.673 0.212
Al 0.673 0.673 0.943
Al 0.673 0.943 0.212
Al 0.673 0.943 0.673
Al 0.761 0.489 0.489
Al 0.761 0.489 0.761
Al 0.761 0.761 0.489
Al 0.788 0.057 0.327
Al 0.788 0.327 0.057
Al 0.788 0.327 0.327
Al 0.943 0.212 0.673
Al 0.943 0.673 0.212
Al 0.943 0.673 0.673
Cr 0.000 0.500 0.500
Cr 0.500 0.000 0.500
Cr 0.500 0.500 0.000
Cr 0.500 0.500 0.500

----------

No. 1
# Ac2AgSe3 (PBE, optimized geometry)
data_Ac2AgSe3
_chemical_formula_sum 'Ac2 Ag1 Se3'
_cell_length_a 4.121
_cell_length_b 4.940
_cell_length_c 9.202
_cell_angle_alpha 105.57
_cell_angle_beta 102.94
_cell_angle_gamma 90.00
_space_group_name_H-M_alt 'P 1'
_space_group_IT_number 1
loop_
_space_group_symop_operation_xyz
'x,y,z'
loop_
_atom_site_label
_atom_site_fract_x
_atom_site_fract_y
_atom_site_fract_z
Se1 0.000 0.500 0.000
Se2 0.824 0.824 0.647
Se3 0.176 0.176 0.353
Ag1 0.000 0.000 0.000
Ac1 0.642 0.642 0.283
Ac2 0.358 0.358 0.717
# Spin magnetization (μB/f.u.): 0.00
# SG: Immm (71)
# Formation energy from raw total energies (eV/atom): -1.48



No. 2
# InCuP2S (PBE, optimized geometry)
data_InCuP2S
_chemical_formula_sum 'In1 Cu1 P2 S1'
_cell_length_a 4.508
_cell_length_b 4.508
_cell_length_c 4.802
_cell_angle_alpha 90.00
_cell_angle_beta 90.00
_cell_angle_gamma 90.00
_space_group_name_H-M_alt 'P 1'
_space_group_IT_number 1
loop_
_space_group_symop_operation_xyz
'x,y,z'
loop_
_atom_site_label
_atom_site_fract_x
_atom_site_fract_y
_atom_site_fract_z
P1 0.500 0.000 0.000
P2 0.000 0.500 0.000
In1 0.500 0.500 0.500
S1 0.000 0.000 0.500
Cu1 0.000 0.000 0.000
# E above lowest polymorph (kJ per mole of atoms): 0.0
# Spin magnetization (μB/f.u.): 0.19
# SG: P4/mmm (123)
# Formation energy from raw total energies (eV/atom): 0.62



No. 3
# InTc2Cl (PBE, optimized geometry)
data_InTc2Cl
_chemical_formula_sum 'In1 Tc2 Cl1'
_cell_length_a 10.299
_cell_length_b 10.299
_cell_length_c 10.299
_cell_angle_alpha 16.48
_cell_angle_beta 16.48
_cell_angle_gamma 16.48
_space_group_name_H-M_alt 'P 1'
_space_group_IT_number 1
loop_
_space_group_symop_operation_xyz
'x,y,z'
loop_
_atom_site_label
_atom_site_fract_x
____________
B tonic-clonic seizures
C absence seizures
D none
5 According to paragraph 3, which type of seizure occurs in
childhood and may persist in adulthood
C both A and B
D none
D Both B and C
D Both B and C
9 According to paragraph 4, which of the following statements is
A rhythmic jerking
B stiffening of muscles
C loss of consciousness
D none
Reading Passage 2
Fascioliasis Infection
Paragraph 1
Paragraph 2
Infected people don't start passing eggs until they have been infected for
several months; people don't pass eggs during the acute phase of the
infection. Therefore, early on, the infection has to be diagnosed in other
ways than by examining stool. Even during the chronic phase of infection, it
can be difficult to find eggs in stool specimens from people who have light
Paragraph 3
Fasciola parasites develop into adult flukes in the bile ducts of infected
mammals, which pass immature Fasciola eggs in their feces. The next part
of the life cycle occurs in freshwater. After several weeks, the eggs hatch,
producing a parasite form known as the miracidium, which then infects a
snail host. Under optimal conditions, the development process in the snail
may be completed in 5 to 7 weeks; cercariae are then shed in the water
around the snail. The cercariae lose their tails when they encyst as
metacercariae (infective larvae) on water plants. In contrast to cercariae,
metacercariae have a hard outer cyst wall and can survive for prolonged
periods in wet environments.
Paragraph 4
Immature Fasciola eggs are discharged in the biliary ducts and in the stool.
Eggs become embryonated in water; eggs release miracidia, which invade a
suitable snail intermediate host, including the genera Galba,
Fossaria and Pseudosuccinea. In the snail the parasites undergo several
developmental stages (sporocysts, rediae, and cercariae ). The cercariae are
released from the snail and encyst as metacercariae on aquatic vegetation or
other surfaces. Mammals acquire the infection by eating vegetation
containing metacercariae. Humans can become infected by ingesting
metacercariae-containing freshwater plants, especially watercress. After
ingestion, the metacercariae excyst in the duodenum and migrate through
the intestinal wall, the peritoneal cavity, and the liver parenchyma into the
biliary ducts, where they develop into adult flukes.
Paragraph 5
Individual people can protect themselves by not eating raw watercress and
other water plants, especially from endemic grazing areas. As always,
travelers to areas with poor sanitation should avoid food and water that
might be contaminated (tainted). Vegetables grown in fields that might have
been irrigated with polluted water should be thoroughly cooked, as should
viscera from potentially infected animals.
Paragraph 6
These crystal structures were left in the page by mistake.
# 1
! Zn5Hg12Se3 PBE optimized geometry; values from VASP
&SYSTEM
  ibrav = 0, nat = 80, ntyp = 3
/
ATOMIC_SPECIES
Se 78.96 Se.upf
Zn 65.41 Zn.upf
Hg 200.59 Hg.upf
CELL_PARAMETERS angstrom
-6.955 -11.104 5.619
-0.910 -0.523 -14.218
13.702 -0.504 3.907
ATOMIC_POSITIONS crystal
Se 0.750 0.375 0.125
Se 0.875 0.750 0.125
Se 0.375 0.750 0.625
Se 0.250 0.125 0.375
Se 0.875 0.125 0.250
Se 0.375 0.625 0.250
Se 0.625 0.375 0.750
Se 0.125 0.875 0.750
Se 0.750 0.875 0.625
Se 0.625 0.250 0.375
Se 0.125 0.250 0.875
Se 0.250 0.625 0.875
Zn 0.125 0.375 0.250
Zn 0.000 0.500 0.000
Zn 0.000 0.000 0.000
Zn 0.375 0.250 0.125
Zn 0.500 0.000 0.500
Zn 0.500 0.500 0.000
Zn 0.125 0.750 0.375
Zn 0.750 0.125 0.875
Zn 0.750 0.625 0.375
Zn 0.375 0.125 0.750
Zn 0.625 0.875 0.250
Zn 0.500 0.500 0.500
Zn 0.500 0.000 0.000
Zn 0.000 0.000 0.500
Zn 0.250 0.375 0.625
Zn 0.250 0.875 0.125
Zn 0.000 0.500 0.500
Zn 0.875 0.250 0.625
Zn 0.625 0.750 0.875
Zn 0.875 0.625 0.750
Hg 0.724 0.119 0.048
Hg 0.324 0.548 0.429
Hg 0.952 0.381 0.276
Hg 0.548 0.224 0.119
Hg 0.604 0.724 0.676
Hg 0.952 0.571 0.176
Hg 0.324 0.776 0.396
Hg 0.071 0.896 0.119
Hg 0.571 0.952 0.676
Hg 0.724 0.604 0.176
Hg 0.776 0.452 0.381
Hg 0.824 0.929 0.048
Hg 0.119 0.724 0.548
Hg 0.381 0.429 0.104
Hg 0.104 0.929 0.381
Hg 0.396 0.119 0.571
Hg 0.104 0.176 0.224
Hg 0.452 0.676 0.071
Hg 0.824 0.896 0.276
Hg 0.119 0.396 0.071
Hg 0.381 0.952 0.776
Hg 0.571 0.619 0.396
Hg 0.929 0.824 0.548
Hg 0.776 0.324 0.896
Hg 0.429 0.381 0.604
Hg 0.071 0.176 0.452
Hg 0.224 0.676 0.104
Hg 0.176 0.104 0.724
Hg 0.619 0.048 0.224
Hg 0.881 0.604 0.929
Hg 0.548 0.324 0.929
Hg 0.604 0.881 0.429
Hg 0.896 0.824 0.776
Hg 0.896 0.071 0.619
Hg 0.881 0.276 0.452
Hg 0.176 0.071 0.952
Hg 0.619 0.571 0.896
Hg 0.429 0.048 0.324
Hg 0.276 0.396 0.824
Hg 0.224 0.548 0.619
Hg 0.929 0.104 0.881
Hg 0.676 0.224 0.604
Hg 0.452 0.776 0.881
Hg 0.048 0.429 0.824
Hg 0.396 0.276 0.324
Hg 0.048 0.619 0.724
Hg 0.676 0.452 0.571
Hg 0.276 0.881 0.952
! uncorrected formation energy: 1.415 eV per formula unit
! density of states at the Fermi level: 8.34 states/eV/f.u.
! crystal system: cubic

***

# 2
! PmOsRu PBE optimized geometry; values from VASP
&SYSTEM
  ibrav = 0, nat = 3, ntyp = 3
/
ATOMIC_SPECIES
Ru 101.07 Ru.upf
Os 190.23 Os.upf
Pm 145.00 Pm.upf
CELL_PARAMETERS angstrom
-0.503 -4.320 0.504
2.549 0.091 3.320
-4.121 0.539 0.509
ATOMIC_POSITIONS crystal
Ru 0.167 0.333 0.667
Os 0.167 0.000 0.000
Pm 0.667 0.667 0.333
! energy relative to the lowest polymorph listed for this composition: 196 meV/atom
! density of states at the Fermi level: 2.91 states/eV/f.u.
! crystal system: hexagonal
! ΔE_f: 0.04 eV per atom

***

# 3
! FeAgP2S PBE optimized geometry; values from VASP
&SYSTEM
  ibrav = 0, nat = 5, ntyp = 4
/
ATOMIC_SPECIES
P 30.97 P.upf
S 32.06 S.upf
Fe 55.84 Fe.upf
Ag 107.87 Ag.upf
CELL_PARAMETERS angstrom
-3.017 1.238 3.464
0.042 -4.469 1.633
3.740 1.084 2.870
ATOMIC_POSITIONS crystal
P 0.000 0.500 0.000
P 0.500 0.000 0.000
S 0.000 0.000 0.500
Fe 0.500 0.500 0.500
End of the crystal structures.
In the early (acute) phase, symptoms can occur as a result of the parasite's
migration from the intestine to and through the liver. Symptoms can include
gastrointestinal problems such as nausea, vomiting, and abdominal
pain/tenderness. Fever, rash, and difficulty breathing may occur.
During the chronic phase (after the parasite settles in the bile ducts), the
clinical manifestations may be similar or more discrete, reflecting
inflammation and blockage of bile ducts, which can be intermittent.
Inflammation of the liver, gallbladder, and pancreas also can occur.
A diagnosis
B treatment
C spread of infection
D none
A chronic phase
B infective phase
C acute phase
D A and B
D complete life cycle
A cercariae
B metacercariae
C miracidia,
D Fasciola eggs
A Intestinal wall
B Duodenum
C peritoneal cavity
D liver
C drugs to be used
D A and C
A special programs shall be organized for the controlling of the disease
D none